Given.
┌──
# 1
The following is a DFT calculation (PBE) of TbZn20Fe2 after structural relaxation.

Results
E_form in meV/atom: -134
Calculated volume in A^3/atom: 15.155

a = 9.953 Å, b = 9.953 Å, c = 9.953 Å
α = 60.00°, β = 60.00°, γ = 60.00°
Atoms (fractional coordinates):
Tb: 0.750 0.750 0.750
Tb: 0.500 0.500 0.500
Zn: 0.625 0.625 0.625
Zn: 0.125 0.625 0.625
Zn: 0.298 0.569 0.835
Zn: 0.952 0.952 0.681
Zn: 0.681 0.415 0.952
Zn: 0.952 0.415 0.952
Zn: 0.415 0.952 0.681
Zn: 0.415 0.952 0.952
Zn: 0.681 0.952 0.952
Zn: 0.835 0.569 0.298
Zn: 0.298 0.569 0.298
Zn: 0.569 0.298 0.835
Zn: 0.298 0.298 0.835
Zn: 0.569 0.835 0.298
Zn: 0.835 0.298 0.569
Zn: 0.298 0.298 0.569
Zn: 0.298 0.835 0.298
Zn: 0.681 0.952 0.415
Zn: 0.952 0.952 0.415
Zn: 0.952 0.415 0.681
Zn: 0.952 0.681 0.415
Zn: 0.415 0.681 0.952
Zn: 0.952 0.681 0.952
Zn: 0.835 0.298 0.298
Zn: 0.569 0.298 0.298
Zn: 0.298 0.835 0.569
Zn: 0.864 0.864 0.136
Zn: 0.114 0.386 0.386
Zn: 0.386 0.114 0.114
Zn: 0.114 0.114 0.386
Zn: 0.114 0.386 0.114
Zn: 0.386 0.114 0.386
Zn: 0.136 0.864 0.136
Zn: 0.136 0.864 0.864
Zn: 0.864 0.136 0.136
Zn: 0.864 0.136 0.864
Zn: 0.386 0.386 0.114
Zn: 0.136 0.136 0.864
Zn: 0.625 0.125 0.625
Zn: 0.625 0.625 0.125
Fe: 0.125 0.625 0.125
Fe: 0.125 0.125 0.125
Fe: 0.625 0.125 0.125
Fe: 0.125 0.125 0.625


# 2
The following is a DFT calculation (PBE) of Ti2FeTc after structural relaxation.

Results
E_form in meV/atom: -450
Calculated volume in A^3/atom: 13.999

a = 4.294 Å, b = 4.294 Å, c = 4.294 Å
α = 60.00°, β = 60.00°, γ = 60.00°
Atoms (fractional coordinates):
Ti: 0.250 0.250 0.250
Ti: 0.750 0.750 0.750
Fe: 0.500 0.500 0.500
Tc: 0.000 0.000 0.000


# 3
The following is a DFT calculation (PBE) of Zr2FeTc after structural relaxation.

Results
E_form in meV/atom: -279
Calculated volume in A^3/atom: 17.055

a = 4.586 Å, b = 4.586 Å, c = 4.586 Å
α = 60.00°, β = 60.00°, γ = 60.00°
Atoms (fractional coordinates):
Zr: 0.250 0.250 0.250
Zr: 0.750 0.750 0.750
Fe: 0.500 0.500 0.500
Tc: 0.000 0.000 0.000


# 4
The following is a DFT calculation (PBE) of Fe3Te after structural relaxation.

Results
E_form in meV/atom: 132
Calculated volume in A^3/atom: 13.668
Spin magnetization in μB per formula unit: 6.4

a = 4.260 Å, b = 4.260 Å, c = 4.260 Å
α = 60.00°, β = 60.00°, γ = 60.00°
Atoms (fractional coordinates):
Fe: 0.750 0.750 0.750
Fe: 0.250 0.250 0.250
Fe: 0.000 0.000 0.000
Te: 0.500 0.500 0.500


Q: What is the formula in the third record?
A: Zr2FeTc


Q: Which value of E_form does entry 3 give?
A: -279 meV/atom


Q: Which value of E_form does entry 4 give?
A: 132 meV/atom


DFT (GGA-PBE) results for Na3La2In2P3S3O24 after structural relaxation.

energy of formation	-2559	meV/atom
V	16.028	A^3/atom
energy	-734.84	eV/cell
space group	P1, No. 1

Geometry as POSCAR:
```
Na3La2In2P3S3O24
1.0
9.198 0.000 0.000
4.588 7.989 0.000
0.430 0.208 24.211
Na La In P S O
9 6 6 9 9 72
Cartesian
0.000 0.000 0.000
0.291 0.200 12.189
2.035 2.657 22.248
4.741 2.735 8.090
5.209 2.843 20.287
9.350 5.442 16.235
9.157 5.284 3.907
11.056 7.962 14.183
12.166 5.520 1.939
4.666 2.786 4.289
4.917 2.767 16.703
4.826 2.660 11.796
9.330 5.412 12.541
9.456 5.470 7.535
13.811 8.012 8.459
0.145 0.050 3.485
5.073 2.992 23.785
9.136 5.249 0.256
9.586 5.519 19.822
13.965 8.124 20.645
9.471 0.172 15.870
1.831 2.689 1.834
3.341 0.365 14.238
6.039 5.162 1.875
7.701 2.669 14.219
10.734 7.882 10.149
8.225 3.176 22.125
11.409 8.006 18.201
12.274 5.500 22.218
12.535 5.719 5.814
3.500 5.309 14.190
6.330 5.919 18.267
7.399 8.028 5.917
6.548 5.391 10.035
8.211 7.909 22.159
6.019 0.240 1.870
7.967 2.426 5.885
10.804 2.972 10.051
10.732 2.519 18.292
3.798 6.439 7.099
1.277 1.716 19.519
0.921 1.442 2.042
4.127 6.663 14.287
2.748 2.965 3.048
3.812 4.479 15.361
3.969 4.682 12.929
3.005 2.706 18.211
3.921 4.168 22.334
2.692 2.445 0.543
3.087 2.899 10.031
3.975 4.311 5.864
5.274 6.535 2.001
1.821 0.172 14.430
5.819 6.619 19.467
6.714 8.105 22.043
5.740 6.638 10.071
6.516 8.005 4.726
2.045 0.120 7.183
6.027 6.659 17.004
└──
Request.
The reader should restate the lines earlier on from the one with "9.198 0.000" to the one with "12.166 5.520" word for word.
Worked solution.
9.198 0.000 0.000
4.588 7.989 0.000
0.430 0.208 24.211
Na La In P S O
9 6 6 9 9 72
Cartesian
0.000 0.000 0.000
0.291 0.200 12.189
2.035 2.657 22.248
4.741 2.735 8.090
5.209 2.843 20.287
9.350 5.442 16.235
9.157 5.284 3.907
11.056 7.962 14.183
12.166 5.520 1.939